┌──
(1)
10
Lattice="0.000 5.340 5.340 5.340 0.000 5.340 5.340 5.340 0.000" Properties=species:S:1:pos:R:3 comment="Cs2InAgCl6 | the Materials Project | GGA-PBE | relaxed" e_form_ev_per_atom=-1.743 crystal_system=cubic pbc="T T T"
In 0.000 0.000 0.000
Cl 8.110 5.340 5.340
Cl 5.340 2.570 5.340
Cs 8.010 8.010 8.010
Cl 5.340 8.110 5.340
Ag 5.340 5.340 5.340
Cl 5.340 5.340 2.570
Cs 2.670 2.670 2.670
Cl 2.570 5.340 5.340
Cl 5.340 5.340 8.110

***

(2)
10
Lattice="0.000 5.552 5.552 5.552 0.000 5.552 5.552 5.552 0.000" Properties=species:S:1:pos:R:3 comment="Cs2LaAgCl6 | the Materials Project | GGA-PBE | relaxed" e_form_ev_per_atom=-2.233 crystal_system=cubic pbc="T T T"
Cl 5.552 8.328 5.552
Ag 5.552 5.552 5.552
Cs 2.776 2.776 2.776
Cl 5.552 5.552 2.776
Cl 5.552 5.552 8.328
Cl 5.552 2.776 5.552
Cs 8.328 8.328 8.328
Cl 8.328 5.552 5.552
La 0.000 0.000 0.000
Cl 2.776 5.552 5.552

***

(3)
10
Lattice="5.197 -5.303 0.540 -1.765 -6.671 2.793 -0.276 -5.950 -4.465" Properties=species:S:1:pos:R:3 comment="Cs2AgMoCl6 | the Materials Project | GGA-PBE | relaxed" e_form_ev_per_atom=-1.624 crystal_system=cubic pbc="T T T"
Cl 2.558 -10.555 1.496
Ag 1.578 -8.962 -0.566
Cs 2.367 -13.443 -0.849
Cl 3.346 -10.174 -2.342
Cs 0.789 -4.481 -0.283
Cl -0.336 -10.897 -1.151
Cl 3.491 -7.027 0.019
Mo 0.000 0.000 0.000
Cl -0.190 -7.751 1.210
Cl 0.598 -7.370 -2.628

***

(4)
10
Lattice="3.556 -6.494 -2.461 -2.310 -3.448 -6.606 4.574 0.211 -6.317" Properties=species:S:1:pos:R:3 comment="Cs2NdAgCl6 | the Materials Project | GGA-PBE | relaxed" e_form_ev_per_atom=-2.197 crystal_system=cubic pbc="T T T"
Ag 0.000 0.000 0.000
Nd 2.910 -4.865 -7.692
Cl 3.230 -5.674 -5.096
Cs 1.455 -2.433 -3.846
Cl 2.589 -4.057 -10.288
Cl 3.736 -2.346 -7.010
Cl 0.320 -4.162 -7.153
Cl 5.500 -5.569 -8.231
Cl 2.084 -7.384 -8.375
Cs 4.365 -7.298 -11.538

***

(5)
218
Lattice="-2.251 15.261 -1.447 -11.587 -2.651 -9.939 -10.037 -0.362 11.798" Properties=species:S:1:pos:R:3 comment="KCu24Ag9H48Pb26Cl62O48 | the Materials Project | GGA-PBE | relaxed" e_form_ev_per_atom=-1.066 crystal_system=cubic pbc="T T T"
O -9.170 -0.804 5.790
Cl -3.997 7.230 -0.476
Cl -12.967 11.642 -2.826
Pb -15.137 5.391 -2.539
O -7.288 11.531 -2.058
Cl -3.850 -0.881 -3.302
Cl -16.450 11.594 4.007
Cl -8.613 0.688 0.542
H -8.389 -0.634 6.371
Cu -11.401 -0.629 -4.508
Cl -15.576 5.616 0.519
H -2.241 5.061 1.263
Ag -1.126 7.630 -0.723
H -11.367 7.887 -9.428
Cu -4.237 3.566 1.716
H -3.213 9.753 -2.434
O -9.506 2.098 6.025
Pb -9.524 5.709 -7.927
Cu -5.749 0.664 0.340
O -3.960 9.651 -3.073
Cl -8.439 5.342 5.484
O -9.528 10.255 -7.791
Pb -6.413 2.874 -5.367
O -9.418 9.927 8.331
H -8.656 1.870 5.570
Pb -12.683 8.668 -4.341
Cl -17.730 6.822 -2.375
O -7.097 11.813 0.625
H -5.025 9.156 -0.606
Cu -11.239 9.346 -7.359
Pb -13.417 -2.103 -1.305
Cl -9.869 3.616 -1.536
Pb -12.075 9.566 4.186
H -12.753 7.387 -7.234
Cl -19.878 5.017 0.889
Cl -12.506 5.283 -7.776
H -5.370 -0.942 -1.583
Cu -19.637 8.681 -1.303
H -7.491 12.145 1.471
Cl -8.298 6.631 -0.107
O -11.700 10.521 -5.842
O -12.174 1.726 6.255
Cl -13.379 11.042 -8.584
Cl -11.676 6.509 3.864
H -5.990 1.967 2.436
Cl -1.503 10.190 -0.966
Cu -10.232 10.834 6.765
H -13.717 0.198 -4.193
Cu -5.586 10.640 -2.511
O -5.958 -0.954 -0.789
Cl -7.737 -1.770 -6.636
Cl -16.806 3.939 3.704
O -5.774 -0.681 1.798
Pb -7.425 9.736 -6.018
H -10.625 2.856 -8.951
Ag -0.349 2.364 -0.224
Cl -12.198 5.738 -3.452
Cu -14.741 8.858 -7.058
O -11.995 2.500 -6.339
Cu -4.488 3.195 -1.805
H -16.383 0.102 -1.059
O -7.193 2.989 7.589
O -10.287 0.944 -4.934
Cl -9.078 11.861 -4.657
O -11.744 -1.163 6.012
H -2.984 10.092 0.786
Cl -11.671 -0.531 -7.487
H -4.217 1.372 -3.545
Pb -3.887 7.531 2.523
O -18.294 2.272 1.065
O -12.956 0.572 -4.705
Pb -9.165 6.224 -3.052
O -17.999 10.294 1.562
Cl -17.320 7.428 3.373
O -5.875 1.953 -1.150
H -8.037 0.498 -6.822
H -14.496 11.444 4.978
Cl -3.335 -0.120 3.920
O -3.632 10.136 1.530
H -10.880 10.981 -5.530
O -9.878 2.958 -8.312
Ag -1.903 12.897 -1.222
H -18.849 3.092 1.018
H -6.301 1.507 -1.926
└──
Your job: transcribe the lines further up up to the one that holds "-10.287 0.944", that line included.
(1)
10
Lattice="0.000 5.340 5.340 5.340 0.000 5.340 5.340 5.340 0.000" Properties=species:S:1:pos:R:3 comment="Cs2InAgCl6 | the Materials Project | GGA-PBE | relaxed" e_form_ev_per_atom=-1.743 crystal_system=cubic pbc="T T T"
In 0.000 0.000 0.000
Cl 8.110 5.340 5.340
Cl 5.340 2.570 5.340
Cs 8.010 8.010 8.010
Cl 5.340 8.110 5.340
Ag 5.340 5.340 5.340
Cl 5.340 5.340 2.570
Cs 2.670 2.670 2.670
Cl 2.570 5.340 5.340
Cl 5.340 5.340 8.110

***

(2)
10
Lattice="0.000 5.552 5.552 5.552 0.000 5.552 5.552 5.552 0.000" Properties=species:S:1:pos:R:3 comment="Cs2LaAgCl6 | the Materials Project | GGA-PBE | relaxed" e_form_ev_per_atom=-2.233 crystal_system=cubic pbc="T T T"
Cl 5.552 8.328 5.552
Ag 5.552 5.552 5.552
Cs 2.776 2.776 2.776
Cl 5.552 5.552 2.776
Cl 5.552 5.552 8.328
Cl 5.552 2.776 5.552
Cs 8.328 8.328 8.328
Cl 8.328 5.552 5.552
La 0.000 0.000 0.000
Cl 2.776 5.552 5.552

***

(3)
10
Lattice="5.197 -5.303 0.540 -1.765 -6.671 2.793 -0.276 -5.950 -4.465" Properties=species:S:1:pos:R:3 comment="Cs2AgMoCl6 | the Materials Project | GGA-PBE | relaxed" e_form_ev_per_atom=-1.624 crystal_system=cubic pbc="T T T"
Cl 2.558 -10.555 1.496
Ag 1.578 -8.962 -0.566
Cs 2.367 -13.443 -0.849
Cl 3.346 -10.174 -2.342
Cs 0.789 -4.481 -0.283
Cl -0.336 -10.897 -1.151
Cl 3.491 -7.027 0.019
Mo 0.000 0.000 0.000
Cl -0.190 -7.751 1.210
Cl 0.598 -7.370 -2.628

***

(4)
10
Lattice="3.556 -6.494 -2.461 -2.310 -3.448 -6.606 4.574 0.211 -6.317" Properties=species:S:1:pos:R:3 comment="Cs2NdAgCl6 | the Materials Project | GGA-PBE | relaxed" e_form_ev_per_atom=-2.197 crystal_system=cubic pbc="T T T"
Ag 0.000 0.000 0.000
Nd 2.910 -4.865 -7.692
Cl 3.230 -5.674 -5.096
Cs 1.455 -2.433 -3.846
Cl 2.589 -4.057 -10.288
Cl 3.736 -2.346 -7.010
Cl 0.320 -4.162 -7.153
Cl 5.500 -5.569 -8.231
Cl 2.084 -7.384 -8.375
Cs 4.365 -7.298 -11.538

***

(5)
218
Lattice="-2.251 15.261 -1.447 -11.587 -2.651 -9.939 -10.037 -0.362 11.798" Properties=species:S:1:pos:R:3 comment="KCu24Ag9H48Pb26Cl62O48 | the Materials Project | GGA-PBE | relaxed" e_form_ev_per_atom=-1.066 crystal_system=cubic pbc="T T T"
O -9.170 -0.804 5.790
Cl -3.997 7.230 -0.476
Cl -12.967 11.642 -2.826
Pb -15.137 5.391 -2.539
O -7.288 11.531 -2.058
Cl -3.850 -0.881 -3.302
Cl -16.450 11.594 4.007
Cl -8.613 0.688 0.542
H -8.389 -0.634 6.371
Cu -11.401 -0.629 -4.508
Cl -15.576 5.616 0.519
H -2.241 5.061 1.263
Ag -1.126 7.630 -0.723
H -11.367 7.887 -9.428
Cu -4.237 3.566 1.716
H -3.213 9.753 -2.434
O -9.506 2.098 6.025
Pb -9.524 5.709 -7.927
Cu -5.749 0.664 0.340
O -3.960 9.651 -3.073
Cl -8.439 5.342 5.484
O -9.528 10.255 -7.791
Pb -6.413 2.874 -5.367
O -9.418 9.927 8.331
H -8.656 1.870 5.570
Pb -12.683 8.668 -4.341
Cl -17.730 6.822 -2.375
O -7.097 11.813 0.625
H -5.025 9.156 -0.606
Cu -11.239 9.346 -7.359
Pb -13.417 -2.103 -1.305
Cl -9.869 3.616 -1.536
Pb -12.075 9.566 4.186
H -12.753 7.387 -7.234
Cl -19.878 5.017 0.889
Cl -12.506 5.283 -7.776
H -5.370 -0.942 -1.583
Cu -19.637 8.681 -1.303
H -7.491 12.145 1.471
Cl -8.298 6.631 -0.107
O -11.700 10.521 -5.842
O -12.174 1.726 6.255
Cl -13.379 11.042 -8.584
Cl -11.676 6.509 3.864
H -5.990 1.967 2.436
Cl -1.503 10.190 -0.966
Cu -10.232 10.834 6.765
H -13.717 0.198 -4.193
Cu -5.586 10.640 -2.511
O -5.958 -0.954 -0.789
Cl -7.737 -1.770 -6.636
Cl -16.806 3.939 3.704
O -5.774 -0.681 1.798
Pb -7.425 9.736 -6.018
H -10.625 2.856 -8.951
Ag -0.349 2.364 -0.224
Cl -12.198 5.738 -3.452
Cu -14.741 8.858 -7.058
O -11.995 2.500 -6.339
Cu -4.488 3.195 -1.805
H -16.383 0.102 -1.059
O -7.193 2.989 7.589
O -10.287 0.944 -4.934